Hey lazy aces, check those laces!

These days it seems too much work and/or there ain’t enough time to untie the laces before removing one’s shoes at night. If so – here’s for those of you who struggle with putting them on the next morning:

Hope eternally springs
for AI laces made right:
Self-loosening shoestrings
opens up shoes with foresight!

But til such time here’s a cue:
Must it cause much outcry
if you don’t remove your shoe
until first you untie?!

Or do sneakers get tight
just resting over night?

Smart phone seemed lost but then was found

When your phone seemed lost
prima facie
didn’t you blame, accost
going crazy?

Then found! You were returned
from despair’s deepest canyon
No longer were you spurned
by your Dearest Companion!

How you had yearned to be prompted
back in ‘phonily’ graces
charmingly enticed & wanted
held in torrid embraces!

You may find it condescending
if labeled ’smartphonistic’
though hopefully not offending
but simply sybaritic?

Now you’re back in Reality
in cool nuzzling normality!

Hapless at their mercy, reduced to smile & curtsy

Those hectoring, obscure scenes:
don’t know a single nut or bolt
behind those crisp shiny screens
against which hopeless to revolt

Without an apology
the techno-fix is in
by latest frivolity
we cannot fix a thing

Large corporations with such ease
(we’re hapless at their mercy)
charges us hefty service fees
We’re left to smile & curtsy

Ours is not to understand how
but (whilst being scammed) acclaim ‘wow!’

In hapless hearts darkling, war machines keep sparkling

Here they go to war again
to make up for policy flawed
The pretext this time Ukraine
sending in military awed!

Narrative but forlorn fiction
with handy excuses mostly thin
Reaction same old addiction
to militaries who rarely win

Empires’ machines sparkling
in patriots’ eyes callow
their fickle hearts darkling
while peace fades ever sallow

Steeped in deep ignorance
hooked on obsession
Haughty the arrogance
of blind aggression

Still on victimhood they’re insisting
in mulish denial persisting

Baby breath thrust stirs no dust

Off to a slow start this morning? You’re not the only one. Tells here an airplane even:

Taxiing, creeping
something ailing
fuel in tanks seeping
Prospects paling

Fuselage sagging
wing tips drooping
til nearly dragging.
Forget looping!

Jet engine’s breath
held bated
a Shibboleth
ill fated

Anguish inflated
as tires deflate
landing gear weighted
controls frustrate

Squeaky in rust
who’s nonplussed?
Baby breath thrust
stirs no dust

Attached: crystal structures:
-- begin --
A) Material: LuCoSiAu
Method: DFT, PBE-GGA
State: relaxed

a = 6.401 Å, b = 6.401 Å, c = 6.401 Å
α = 90.00°, β = 90.00°, γ = 90.00°
Space group F-43m (No. 216)
Inequivalent atoms, fractional coordinates:
Lu 0.000 0.000 0.000 [4 per cell]
Co 0.250 0.250 0.750 [4 per cell]
Si 0.000 0.000 0.500 [4 per cell]
Au 0.250 0.250 0.250 [4 per cell]

Calculated values
As for the volume: 16.4 Å³/atom. The value obtained for the density is 11622 kg/m³. The value obtained for the total moment is 1.1 μB/f.u.


B) Material: LuCoSiAu
Method: DFT, PBE-GGA
State: relaxed

a = 6.463 Å, b = 6.463 Å, c = 6.463 Å
α = 90.00°, β = 90.00°, γ = 90.00°
Space group F-43m (No. 216)
Inequivalent atoms, fractional coordinates:
Lu 0.000 0.000 0.000 [4 per cell]
Co 0.000 0.000 0.500 [4 per cell]
Si 0.250 0.250 0.250 [4 per cell]
Au 0.250 0.250 0.750 [4 per cell]

Calculated values
As for the volume: 16.9 Å³/atom. The value obtained for the density is 11292 kg/m³. The value obtained for the total moment is 1.0 μB/f.u.


Most stable: A). Least stable: B).


A) Material: LuCoSnAu
Method: DFT, PBE-GGA
State: relaxed

a = 6.702 Å, b = 6.702 Å, c = 6.702 Å
α = 90.00°, β = 90.00°, γ = 90.00°
Space group F-43m (No. 216)
Inequivalent atoms, fractional coordinates:
Lu 0.000 0.000 0.000 [4 per cell]
Co 0.000 0.000 0.500 [4 per cell]
Sn 0.250 0.250 0.250 [4 per cell]
Au 0.250 0.250 0.750 [4 per cell]

Calculated values
As for the volume: 18.8 Å³/atom. The value obtained for the density is 12126 kg/m³. The value obtained for the total moment is 0.9 μB/f.u.


B) Material: LuCoSnAu
Method: DFT, PBE-GGA
State: relaxed

a = 6.691 Å, b = 6.691 Å, c = 6.691 Å
α = 90.00°, β = 90.00°, γ = 90.00°
Space group F-43m (No. 216)
Inequivalent atoms, fractional coordinates:
Lu 0.000 0.000 0.000 [4 per cell]
Co 0.250 0.250 0.750 [4 per cell]
Sn 0.000 0.000 0.500 [4 per cell]
Au 0.250 0.250 0.250 [4 per cell]

Calculated values
As for the volume: 18.7 Å³/atom. The value obtained for the density is 12185 kg/m³. The value obtained for the total moment is 1.2 μB/f.u.


Most stable: B). Least stable: A).


A) Material: LuTlCoAu
Method: DFT, PBE-GGA
State: relaxed

a = 6.755 Å, b = 6.755 Å, c = 6.755 Å
α = 90.00°, β = 90.00°, γ = 90.00°
Space group F-43m (No. 216)
Inequivalent atoms, fractional coordinates:
Lu 0.000 0.000 0.000 [4 per cell]
Tl 0.250 0.250 0.250 [4 per cell]
Co 0.000 0.000 0.500 [4 per cell]
Au 0.250 0.250 0.750 [4 per cell]

Calculated values
As for the volume: 19.3 Å³/atom. The value obtained for the density is 13688 kg/m³. The value obtained for the total moment is 1.4 μB/f.u.


B) Material: LuTlCoAu
Method: DFT, PBE-GGA
State: relaxed

a = 6.752 Å, b = 6.752 Å, c = 6.752 Å
α = 90.00°, β = 90.00°, γ = 90.00°
Space group F-43m (No. 216)
Inequivalent atoms, fractional coordinates:
Lu 0.000 0.000 0.000 [4 per cell]
Tl 0.000 0.000 0.500 [4 per cell]
Co 0.250 0.250 0.750 [4 per cell]
Au 0.250 0.250 0.250 [4 per cell]

Calculated values
-- stop --

shibboleth = a common saying or belief with little current meaning or truth

edited 09/09/22 0810


The violence that the empire inflicts on the far reaches of the realm keeps returning home in ever fiercer vengeance, here a.k.a. ‘blowback’:

Empire forcing itself afar
implacably & scheming
Generals lust for that next star
Dark killing machines gleaming

Poor cultures obliterated
through mechanized pure evil
millions get ‘depopulated’
Now brings home the upheaval:

Empire has begun coming apart in whimper
Long overdue that its breezy smile turns simper!

Screen-glued maroons howl at moons

Their ignorance seems foregone
unwittingly adverse
Declaring them a moron
might just make it all worse

Though they aren’t sipping the chalice
of willful and cruel malice

Who thinks those who howl at moons
truly deserve contempt?
Why berate screen-glued maroons
who of insight exempt

but were one of them to feel concern
sufficient then to cause a heartburn?

maroon: a person ‘marooned’ i.e. stranded or isolated withe little hope of rescue



Yet another ‘pretend solution’

When keen to propose a solution
our pitch splendidly articulated
with cliches in such crisp locution
by own idea intoxicated

But a fantasy cure-all
shiny but shortsighted
superficial with much gall
impotent, benighted

Hence just one more ‘pretend solution’
assured to fail in execution

Don’t act deranged! What Climate Change?!

Winter rages bleak & cold
then merely click ‘unfriend’!
For Spring soon to burgeon bold
just click ‘like’ to impend!

Climate change talk we won’t brook
cannot by hoodwinked eye be seen
It lacks button on Facebook
anywhere in front of our screen!

What’s Fantasy and what’s Reality
long since blurred in Mainstream Media
Drenched in torrents of triviality
by enablers of Acedia

Unbeknownst benighted
watch us grin shortsighted

-acedia = not caring or not being concerned with one’s position or condition in the world